Sweet Corn Connoisseur Lauren Biegler

Lauren’s family knows how to keep a good thing going. Their annual tradition, “Corn Day”, is a quest for peak sweet corn flavor, family togetherness and making a summer harvest last the whole year long.
Calculated crystals that have nothing to do with the article.
........
Record 1
Hf4Fe4Ge7 | GGA-PBE | relaxed

Calculated values
The calculation puts the energy at -7.562 eV per atom. As for the crystal system: tetragonal.

a b c (Å): 13.3606 13.3606 5.1459
angles (deg): 90.00 90.00 90.00
Space group I4/mmm (No. 139)
Inequivalent atoms, fractional coordinates:
Hf (0.0000, 0.1949, 0.0000) (multiplicity 8)
Hf (0.1396, 0.1396, 0.5000) (multiplicity 8)
Fe (0.1488, 0.3512, 0.2500) (multiplicity 16)
Ge (0.0000, 0.0000, 0.2512) (multiplicity 4)
Ge (0.0000, 0.2903, 0.5000) (multiplicity 8)
Ge (0.0000, 0.4063, 0.0000) (multiplicity 8)
Ge (0.2062, 0.2062, 0.0000) (multiplicity 8)

***

Record 2
HoFeGe2 | GGA-PBE | relaxed

Calculated values
The calculation puts the spin magnetization at 0.01 Bohr magnetons per cell. The calculation puts the energy at -6.022 eV per atom. As for the crystal system: orthorhombic.

a b c (Å): 4.1224 16.5816 4.2052
angles (deg): 90.00 90.00 90.00
Space group Cmcm (No. 63)
Inequivalent atoms, fractional coordinates:
Ho (0.0000, 0.1083, 0.2500) (multiplicity 4)
Fe (0.0000, 0.3190, 0.2500) (multiplicity 4)
Ge (0.0000, 0.2517, 0.7500) (multiplicity 4)
Ge (0.0000, 0.4551, 0.2500) (multiplicity 4)

***

Record 3
HoFe4Ge2 | GGA-PBE | relaxed

Calculated values
The calculation puts the spin magnetization at 14.29 Bohr magnetons per cell. The calculation puts the energy at -7.108 eV per atom. As for the crystal system: tetragonal.

a b c (Å): 7.2619 7.2619 3.8569
angles (deg): 90.00 90.00 90.00
Space group P4_2/mnm (No. 136)
Inequivalent atoms, fractional coordinates:
Ho (0.0000, 0.0000, 0.0000) (multiplicity 2)
Fe (0.0896, 0.3521, 0.5000) (multiplicity 8)
Ge (0.2166, 0.7834, 0.5000) (multiplicity 4)

***

Record 4
K2FeGe3Se8 | GGA-PBE | relaxed

Calculated values
The calculation puts the spin magnetization at 16.07 Bohr magnetons per cell. The calculation puts the energy at -4.277 eV per atom. Its MP2020-corrected energy is -254.64 eV per cell. As for the crystal system: monoclinic.

a b c (Å): 7.5819 12.6253 17.8460
angles (deg): 90.00 95.96 90.00
Space group P2_1 (No. 4)
Inequivalent atoms, fractional coordinates:
K (0.2229, 0.0000, 0.0796) (multiplicity 2)
K (0.2371, 0.6272, 0.5769) (multiplicity 2)
K (0.2416, 0.6771, 0.2055) (multiplicity 2)
K (0.2580, 0.9610, 0.6949) (multiplicity 2)
Fe (0.0072, 0.3177, 0.0915) (multiplicity 2)
Fe (0.4475, 0.8212, 0.3933) (multiplicity 2)
Ge (0.0466, 0.2978, 0.5969) (multiplicity 2)
Ge (0.2521, 0.2724, 0.9267) (multiplicity 2)
Ge (0.2663, 0.2475, 0.2649) (multiplicity 2)
Ge (0.2718, 0.3609, 0.4273) (multiplicity 2)
Ge (0.3112, 0.3852, 0.7688) (multiplicity 2)
Ge (0.4876, 0.8374, 0.8935) (multiplicity 2)
Se (0.0084, 0.8927, 0.5247) (multiplicity 2)
Se (0.0278, 0.1772, 0.1863) (multiplicity 2)
Se (0.0289, 0.7333, 0.0340) (multiplicity 2)
Se (0.0569, 0.4449, 0.6875) (multiplicity 2)
Se (0.2132, 0.6924, 0.3937) (multiplicity 2)
Se (0.2235, 0.9430, 0.8922) (multiplicity 2)
Se (0.2246, 0.4322, 0.2998) (multiplicity 2)
Se (0.2452, 0.4403, 0.0973) (multiplicity 2)
........
When people ask me what we do with the “sweet corn1” that we grow on our farm, I can’t help but laugh. What farmers do with their sweet corn usually mirrors what their own family did with their sweet corn. Some people boil it, then freeze it in a slurry of salt and butter. Some people cut it off of the cob raw, then cook it and can it. We boil it on the ear, then cut it and freeze it in bags. But for us, we make a big thing of it. It’s called Corn Day.
I grew up on my family’s corn and soybean farm in Iowa. We would pick, shuck, cook, cut, bag and freeze our sweet corn all in the same day. Hence the name “Corn Day.” Sounds like a lot, right? It is! But there’s a reason for our method and it’s all about flavor.
We know that the most delicious, delectable sweet corn is attainable only if we pick it at just the right time, and then cook it as quickly as possible. The more we let each ear ripen, the tougher and starchier the kernels get. So it’s a bit of a race that in our opinion is well worth the effort.

My earliest Corn Day memories included just our small little family of four and my grandparents. We’d wake up early in the morning to pick the corn. My mom would cover the entire kitchen with newspapers, and the adults went through all of the steps – shucking, boiling in small pots on the stove, cooling in the sink with cold water followed by cutting, bagging and freezing so we could enjoy it for months.
As you can imagine, our kitchen would be a sticky disaster by the end of Corn Day. The clean-up was just awful! Mom couldn’t stand it anymore, so my dad rigged up equipment to do it all outside on a big camping stove. Corn Day was never the same again. We had a new economy of scale.
That’s when we started inviting 20 members of our extended family out to the farm for this hands-on annual food event. We would split into small teams like an assembly line for picking, shucking, cooking, cooling, cutting, bagging and freezing. Dad would grill burgers and we would eat some of the ears along with it.
Data records, kept here for reference
--- one ---
A plane-wave DFT calculation with GGA+U was carried out for a relaxed structure of Li2VCrO4.

abc: 5.1421 5.1701 6.0062
angles: 106.85 90.03 100.02
Fractional positions:
Li 0.0000 0.0000 0.0000
Li 0.4983 0.0034 0.7550
Li 0.0000 0.0000 0.5000
Li 0.5017 0.9966 0.2450
V 0.7502 0.5006 0.6246
V 0.2498 0.4994 0.3754
Cr 0.2496 0.4989 0.8767
Cr 0.7504 0.5011 0.1233
O 0.8798 0.2723 0.8220
O 0.6229 0.7239 0.9311
O 0.3748 0.2740 0.5689
O 0.1205 0.7284 0.6888
O 0.8795 0.2716 0.3112
O 0.6252 0.7260 0.4311
O 0.3771 0.2761 0.0689
O 0.1202 0.7277 0.1780

--- two ---
A plane-wave DFT calculation with GGA+U was carried out for a relaxed structure of Li2VCrO4.

abc: 4.0709 7.8452 5.2941
angles: 93.99 112.61 105.04
Fractional positions:
Li 0.6280 0.8735 0.3825
Li 0.1291 0.3694 0.8888
Li 0.2454 0.7556 0.7350
Li 0.7537 0.2450 0.2623
V 0.5011 0.4989 0.5032
V 0.9994 0.9998 0.9991
Cr 0.3726 0.1261 0.6195
Cr 0.8754 0.6266 0.1245
O 0.2534 0.2358 0.2707
O 0.7659 0.7450 0.7866
O 0.4888 0.0132 0.9645
O 0.9883 0.5095 0.4669
O 0.1182 0.8811 0.3556
O 0.6146 0.3868 0.8423
O 0.8814 0.1197 0.6432
O 0.3847 0.6143 0.1552

Q: Which of them is the most stable? A: one.

--- one ---
A plane-wave DFT calculation with GGA+U was carried out for a relaxed structure of Sr2AlGaW2O7.

abc: 5.5047 6.1273 11.8324
angles: 105.09 103.12 90.01
Fractional positions:
Sr 0.1535 0.1698 0.3062
Sr 0.8342 0.8115 0.6873
Sr 0.6594 0.6235 0.3124
Sr 0.3299 0.3755 0.6800
Al 0.4561 0.4544 0.9818
Al 0.0324 0.9966 0.9997
Ga 0.2218 0.8188 0.4960
Ga 0.7222 0.1766 0.4991
W 0.4427 0.9132 0.8710
W 0.0852 0.5859 0.1326
W 0.9418 0.4190 0.8672
W 0.5651 0.0795 0.1340
O 0.7007 0.4078 0.1030
O 0.8900 0.9069 0.5026
O 0.2109 0.2443 0.1214
O 0.8386 0.3814 0.6518
O 0.8015 0.0940 0.8854
O 0.2791 0.2289 0.8504
O 0.3875 0.0939 0.4990
O 0.0916 0.7538 0.8732
O 0.5941 0.5851 0.8852
O 0.3546 0.7518 0.6418
O 0.1753 0.6085 0.3465
O 0.7136 0.2509 0.3564
O 0.9024 0.8999 0.1097
O 0.3961 0.8310 0.1945

--- two ---
A plane-wave DFT calculation with GGA+U was carried out for a relaxed structure of Sr2AlGaW2O7.

abc: 5.6865 6.1374 11.8013
angles: 104.69 103.84 88.74
Fractional positions:
Sr 0.8805 0.8142 0.6965
Sr 0.1483 0.2170 0.3305
Sr 0.3482 0.3634 0.6916
Sr 0.6536 0.6155 0.3168
Al 0.3819 0.5987 0.9760
Al 0.9525 0.1235 0.0534
Ga 0.7205 0.1678 0.5066
Ga 0.2285 0.8294 0.5049
W 0.5826 0.0704 0.1455
W 0.9225 0.3891 0.8582
W 0.0931 0.5855 0.1431
W 0.4519 0.9307 0.8520
O 0.6095 0.5982 0.8924
O 0.3920 0.0923 0.5017
O 0.1549 0.7075 0.8715
O 0.2172 0.6315 0.3536
O 0.9405 0.9188 0.1480
O 0.4312 0.7398 0.1332
O 0.8924 0.8958 0.4971
O 0.2538 0.2497 0.1420
O 0.8169 0.3595 0.1580
O 0.6913 0.2283 0.3551
O 0.8411 0.3907 0.6454
O 0.3394 0.7404 0.6458
O 0.6664 0.1243 0.7889
O 0.1813 0.1556 0.8041

Q: Which of them is the most stable? A: one.

--- one ---
A plane-wave DFT calculation with GGA+U was carried out for a relaxed structure of Li3V3P8O29.

abc: 9.7549 9.7579 14.1581
angles: 90.30 89.99 119.92
Fractional positions:
Li 0.6761 0.9072 0.5497
Everyone went home exhausted with their portion of the corn in a cooler to enjoy it all year long. Memories were made, and photos captured the day. It left a sweet impression on me. Corn Day is still an annual, outdoors tradition that I’ve continued with my own family now on our farm in Minnesota. That’s what I do with our sweet corn.
_Between two parts of the text: records of crystals_
- - -
No. 1
First-principles (PBE-GGA) data for a relaxed Na6Bi2C4SO16 crystal, as listed in Materials Project. Values from VASP.

```
&SYSTEM
  ibrav = 0, nat = 58, ntyp = 5
/
ATOMIC_SPECIES
Na 22.99 Na.upf
Bi 208.98 Bi.upf
C 12.01 C.upf
S 32.06 S.upf
O 16.00 O.upf
CELL_PARAMETERS angstrom
0.0000 7.2824 7.2824
7.2824 0.0000 7.2824
7.2824 7.2824 0.0000
ATOMIC_POSITIONS crystal
Na 0.0794 0.0794 0.6706
Na 0.0794 0.6706 0.0794
Na 0.0794 0.6706 0.6706
Na 0.3294 0.3294 0.9206
Na 0.3294 0.9206 0.3294
Na 0.3294 0.9206 0.9206
Na 0.6706 0.0794 0.0794
Na 0.6706 0.0794 0.6706
Na 0.6706 0.6706 0.0794
Na 0.9206 0.3294 0.3294
Na 0.9206 0.3294 0.9206
Na 0.9206 0.9206 0.3294
Bi 0.0000 0.5000 0.5000
Bi 0.5000 0.0000 0.5000
Bi 0.5000 0.5000 0.0000
Bi 0.5000 0.5000 0.5000
C 0.2668 0.2668 0.2668
C 0.2668 0.2668 0.6995
C 0.2668 0.6995 0.2668
C 0.3005 0.7332 0.7332
C 0.6995 0.2668 0.2668
C 0.7332 0.3005 0.7332
C 0.7332 0.7332 0.3005
C 0.7332 0.7332 0.7332
S 0.1250 0.1250 0.1250
S 0.8750 0.8750 0.8750
O 0.0657 0.0657 0.0657
O 0.0657 0.0657 0.3029
O 0.0657 0.3029 0.0657
O 0.1387 0.2702 0.3923
O 0.1387 0.3923 0.6987
O 0.1387 0.6987 0.2702
O 0.2702 0.1387 0.6987
O 0.2702 0.3923 0.1387
O 0.2702 0.6987 0.3923
O 0.3013 0.6077 0.7298
O 0.3013 0.7298 0.8613
O 0.3013 0.8613 0.6077
O 0.3029 0.0657 0.0657
O 0.3923 0.1387 0.2702
O 0.3923 0.2702 0.6987
O 0.3923 0.6987 0.1387
O 0.6077 0.3013 0.8613
O 0.6077 0.7298 0.3013
O 0.6077 0.8613 0.7298
O 0.6971 0.9343 0.9343
O 0.6987 0.1387 0.3923
O 0.6987 0.2702 0.1387
O 0.6987 0.3923 0.2702
O 0.7298 0.3013 0.6077
O 0.7298 0.6077 0.8613
O 0.7298 0.8613 0.3013
O 0.8613 0.3013 0.7298
O 0.8613 0.6077 0.3013
O 0.8613 0.7298 0.6077
O 0.9343 0.6971 0.9343
O 0.9343 0.9343 0.6971
O 0.9343 0.9343 0.9343
```

## Properties
formation energy	-54.75	eV/f.u.
raw total energy	-359.4	eV per cell
space-group type	Fd-3

=====

No. 2
First-principles (PBE-GGA) data for a relaxed Ge crystal, as listed in Materials Project. Values from VASP.

```
&SYSTEM
  ibrav = 0, nat = 8, ntyp = 1
/
ATOMIC_SPECIES
Ge 72.64 Ge.upf
CELL_PARAMETERS angstrom
-3.5238 3.5238 3.5238
3.5238 -3.5238 3.5238
3.5238 3.5238 -3.5238
ATOMIC_POSITIONS crystal
Ge 0.0000 0.2982 0.5000
Ge 0.0000 0.7018 0.5000
Ge 0.2018 0.2018 0.2018
Ge 0.2982 0.5000 0.0000
Ge 0.5000 0.0000 0.2982
Ge 0.5000 0.0000 0.7018
Ge 0.7018 0.5000 0.0000
Ge 0.7982 0.7982 0.7982
```

## Properties
relative energy among the computed polymorphs	145.6	meV per atom
formation energy	0.15	eV/f.u.
raw total energy	-35.8	eV per cell
space-group type	Ia-3

=====

No. 3
First-principles (PBE-GGA) data for a relaxed Tb14Ag51 crystal, as listed in Materials Project. Values from VASP.

```
&SYSTEM
  ibrav = 0, nat = 65, ntyp = 2
/
ATOMIC_SPECIES
Tb 158.93 Tb.upf
Ag 107.87 Ag.upf
CELL_PARAMETERS angstrom
12.8354 0.0000 0.0000
-6.4177 11.1158 0.0000
0.0000 0.0000 9.4326
ATOMIC_POSITIONS crystal
Tb 0.0000 0.0000 0.1925
Tb 0.0000 0.0000 0.8075
Tb 0.1132 0.7267 0.5000
Tb 0.1404 0.4687 0.0000
Tb 0.2733 0.3865 0.5000
Tb 0.3283 0.8596 0.0000
- - -
1 Sweet corn: a corn plant developed in order to have young ears that are sweet and suitable for eating.